........
Record 1
For RbCuAgBr4, a structure optimized by DFT (GGA-PBE) gives the theoretical powder X-ray diffraction pattern in this record (Cu Kα (weighted mean of Kα1 and Kα2)).
Lines closer than 0.1° are merged.

Structure:
Lattice parameters (Å, degrees): 11.5799 11.5799 11.5799 90.00 90.00 90.00
Space group F-43m (No. 216)
Asymmetric unit:
Rb 0.0000 0.0000 0.0000 [4 per cell]
Cu 0.0000 0.0000 0.5000 [4 per cell]
Ag 0.2500 0.2500 0.2500 [4 per cell]
Br 0.1193 0.1193 0.3807 [16 per cell]

Top 10 peaks for 2θ = 15–90°, in order of falling intensity:
| index | d/Å | 2theta | intensity |
| --- | --- | --- | --- |
| 2 2 0 | 4.094 | 21.71 | 100 |
| 4 4 0 | 2.047 | 44.25 | 71 |
| 3 3 1 | 2.657 | 33.74 | 60 |
| 2 2 2 | 3.343 | 26.67 | 60 |
| 4 2 2 | 2.364 | 38.07 | 46 |
| 5 3 1 | 1.957 | 46.39 | 40 |
| 3 1 1 | 3.491 | 25.51 | 30 |
| 6 2 2 | 1.746 | 52.41 | 25 |
| 6 4 2 | 1.547 | 59.76 | 25 |
| 7 1 1 | 1.622 | 56.78 | 23 |

***

Record 2
For PmTmZnFe, a structure optimized by DFT (GGA-PBE) gives the theoretical powder X-ray diffraction pattern in this record (Cu Kα (weighted mean of Kα1 and Kα2)).
Lines closer than 0.1° are merged.

Structure:
Lattice parameters (Å, degrees): 6.9862 6.9862 6.9862 90.00 90.00 90.00
Space group F-43m (No. 216)
Asymmetric unit:
Pm 0.0000 0.0000 0.0000 [4 per cell]
Tm 0.0000 0.0000 0.5000 [4 per cell]
Zn 0.2500 0.2500 0.2500 [4 per cell]
Fe 0.2500 0.2500 0.7500 [4 per cell]

Top 10 peaks for 2θ = 15–90°, in order of falling intensity:
| index | d/Å | 2theta | intensity |
| --- | --- | --- | --- |
| 2 2 0 | 2.470 | 36.37 | 100 |
| 4 2 2 | 1.426 | 65.45 | 35 |
| 2 0 0 | 3.493 | 25.50 | 21 |
| 4 0 0 | 1.747 | 52.39 | 17 |
| 6 2 0 | 1.105 | 88.52 | 16 |
| 4 4 0 | 1.235 | 77.25 | 11 |
| 4 2 0 | 1.562 | 59.14 | 9 |
| 2 2 2 | 2.017 | 44.95 | 6 |
| 6 0 0 | 1.164 | 82.92 | 5 |
| 1 1 1 | 4.034 | 22.04 | 1 |

***

Record 3
For Hg2Au3I8, a structure optimized by DFT (GGA-PBE) gives the theoretical powder X-ray diffraction pattern in this record (Cu Kα (weighted mean of Kα1 and Kα2)).
Lines closer than 0.1° are merged.

Structure:
Lattice parameters (Å, degrees): 12.7667 7.6801 24.2183 90.00 99.94 90.00
Space group C2/c (No. 15)
Asymmetric unit:
Hg 0.2070 0.2432 0.1261 [8 per cell]
Au 0.0000 0.0147 0.7500 [4 per cell]
Au 0.1200 0.2587 0.5654 [8 per cell]
I 0.0292 0.4711 0.1003 [8 per cell]
I 0.1029 0.0429 0.8602 [8 per cell]
I 0.1963 0.0079 0.2163 [8 per cell]
I 0.2050 0.0149 0.0292 [8 per cell]

Top 10 peaks for 2θ = 15–90°, in order of falling intensity:
| index | d/Å | 2theta | intensity |
| --- | --- | --- | --- |
| 3 1 -2 | 3.677 | 24.20 | 100 |
| 1 1 -6 | 3.548 | 25.10 | 93 |
| 2 2 -4 | 2.987 | 29.91 | 82 |
| 4 2 -6 | 2.211 | 40.82 | 79 |
| 1 1 3 | 4.848 | 18.30 | 78 |
| 2 2 -2 | 3.233 | 27.59 | 77 |
| 2 0 2 | 5.204 | 17.04 | 51 |
| 1 1 -7 | 3.141 | 28.41 | 49 |
| 3 1 -10 | 2.156 | 41.91 | 45 |
| 0 4 0 | 1.920 | 47.35 | 38 |
........

Next, write out all of the entries further up character by character.

Record 1
For RbCuAgBr4, a structure optimized by DFT (GGA-PBE) gives the theoretical powder X-ray diffraction pattern in this record (Cu Kα (weighted mean of Kα1 and Kα2)).
Lines closer than 0.1° are merged.

Structure:
Lattice parameters (Å, degrees): 11.5799 11.5799 11.5799 90.00 90.00 90.00
Space group F-43m (No. 216)
Asymmetric unit:
Rb 0.0000 0.0000 0.0000 [4 per cell]
Cu 0.0000 0.0000 0.5000 [4 per cell]
Ag 0.2500 0.2500 0.2500 [4 per cell]
Br 0.1193 0.1193 0.3807 [16 per cell]

Top 10 peaks for 2θ = 15–90°, in order of falling intensity:
| index | d/Å | 2theta | intensity |
| --- | --- | --- | --- |
| 2 2 0 | 4.094 | 21.71 | 100 |
| 4 4 0 | 2.047 | 44.25 | 71 |
| 3 3 1 | 2.657 | 33.74 | 60 |
| 2 2 2 | 3.343 | 26.67 | 60 |
| 4 2 2 | 2.364 | 38.07 | 46 |
| 5 3 1 | 1.957 | 46.39 | 40 |
| 3 1 1 | 3.491 | 25.51 | 30 |
| 6 2 2 | 1.746 | 52.41 | 25 |
| 6 4 2 | 1.547 | 59.76 | 25 |
| 7 1 1 | 1.622 | 56.78 | 23 |

***

Record 2
For PmTmZnFe, a structure optimized by DFT (GGA-PBE) gives the theoretical powder X-ray diffraction pattern in this record (Cu Kα (weighted mean of Kα1 and Kα2)).
Lines closer than 0.1° are merged.

Structure:
Lattice parameters (Å, degrees): 6.9862 6.9862 6.9862 90.00 90.00 90.00
Space group F-43m (No. 216)
Asymmetric unit:
Pm 0.0000 0.0000 0.0000 [4 per cell]
Tm 0.0000 0.0000 0.5000 [4 per cell]
Zn 0.2500 0.2500 0.2500 [4 per cell]
Fe 0.2500 0.2500 0.7500 [4 per cell]

Top 10 peaks for 2θ = 15–90°, in order of falling intensity:
| index | d/Å | 2theta | intensity |
| --- | --- | --- | --- |
| 2 2 0 | 2.470 | 36.37 | 100 |
| 4 2 2 | 1.426 | 65.45 | 35 |
| 2 0 0 | 3.493 | 25.50 | 21 |
| 4 0 0 | 1.747 | 52.39 | 17 |
| 6 2 0 | 1.105 | 88.52 | 16 |
| 4 4 0 | 1.235 | 77.25 | 11 |
| 4 2 0 | 1.562 | 59.14 | 9 |
| 2 2 2 | 2.017 | 44.95 | 6 |
| 6 0 0 | 1.164 | 82.92 | 5 |
| 1 1 1 | 4.034 | 22.04 | 1 |

***

Record 3
For Hg2Au3I8, a structure optimized by DFT (GGA-PBE) gives the theoretical powder X-ray diffraction pattern in this record (Cu Kα (weighted mean of Kα1 and Kα2)).
Lines closer than 0.1° are merged.

Structure:
Lattice parameters (Å, degrees): 12.7667 7.6801 24.2183 90.00 99.94 90.00
Space group C2/c (No. 15)
Asymmetric unit:
Hg 0.2070 0.2432 0.1261 [8 per cell]
Au 0.0000 0.0147 0.7500 [4 per cell]
Au 0.1200 0.2587 0.5654 [8 per cell]
I 0.0292 0.4711 0.1003 [8 per cell]
I 0.1029 0.0429 0.8602 [8 per cell]
I 0.1963 0.0079 0.2163 [8 per cell]
I 0.2050 0.0149 0.0292 [8 per cell]

Top 10 peaks for 2θ = 15–90°, in order of falling intensity:
| index | d/Å | 2theta | intensity |
| --- | --- | --- | --- |
| 3 1 -2 | 3.677 | 24.20 | 100 |
| 1 1 -6 | 3.548 | 25.10 | 93 |
| 2 2 -4 | 2.987 | 29.91 | 82 |
| 4 2 -6 | 2.211 | 40.82 | 79 |
| 1 1 3 | 4.848 | 18.30 | 78 |
| 2 2 -2 | 3.233 | 27.59 | 77 |
| 2 0 2 | 5.204 | 17.04 | 51 |
| 1 1 -7 | 3.141 | 28.41 | 49 |
| 3 1 -10 | 2.156 | 41.91 | 45 |
| 0 4 0 | 1.920 | 47.35 | 38 |